____________
# 1
Here is one molecule with the formula C3H6N2OS in a non-equilibrium geometry from the Open Molecules 2025 dataset. Energies are from ωB97M-V/def2-TZVPD.

Relative energy (zero: lowest compared OMol25 entry of this formula, charge and spin) in kcal per mole: 67.5
DFT total energy in a.u.: -700.78161
Frontier orbital gap in eV: 9.17
E_HOMO in eV: -8.59
Charge: 0
2S+1: 1

```
13
C3H6N2OS, DFT ωB97M-V/def2-TZVPD
S -2.11560 1.86394 -1.14092
O -0.77305 -0.57153 0.22006
N 1.24659 0.39082 -0.04758
N 0.42601 1.47173 -0.42282
C 1.17809 -1.96480 0.42364
C 0.50919 -0.64592 0.19166
C -0.86156 1.33442 -0.03857
H 1.49786 -2.01419 1.46255
H 0.46892 -2.76526 0.23133
H 2.05056 -2.05967 -0.21545
H -1.08843 1.46159 1.01186
H -3.12210 1.79637 -0.27332
H 0.58353 1.70251 -1.40244
```



# 2
Here is one molecule with the formula C5H8N2 from the Open Molecules 2025 dataset. Energies are from ωB97M-V/def2-TZVPD.

Relative energy (zero: lowest compared OMol25 entry of this formula, charge and spin) in kcal per mole: 58.3
DFT total energy in a.u.: -304.74266
Frontier orbital gap in eV: 8.41
E_HOMO in eV: -7.64
Charge: 0
2S+1: 1

```
15
C5H8N2, DFT ωB97M-V/def2-TZVPD
N 1.13463 0.12475 0.25189
N -0.96296 0.18329 -0.11311
C -0.33015 1.12783 -0.90959
C 1.02167 1.14418 -0.69556
C -0.03073 -0.43711 0.60612
C -2.36514 -0.13358 -0.12392
C 2.47025 -0.38217 0.39869
H 2.42659 -1.41032 0.73422
H 2.99238 0.27096 1.08677
H -0.91116 1.71991 -1.59303
H -2.63799 -0.56951 -1.08315
H -2.96922 0.75750 0.03823
H -2.57694 -0.85217 0.66215
H 2.96809 -0.31306 -0.57658
H -0.22932 -1.23051 1.31689
```



# 3
Here is C25H39BCdN2P2 as an isolated structure from the Open Molecules 2025 dataset. Energies are from ωB97M-V/def2-TZVPD.

DFT total energy in a.u.: -1960.84015
Frontier orbital gap in eV: 7.79
E_HOMO in eV: -7.31
Charge: 0
2S+1: 1

```
70
C25H39BCdN2P2, DFT ωB97M-V/def2-TZVPD
Cd 0.49942 1.19828 -0.46858
P 1.91067 -0.01484 1.27285
P -1.49501 0.01630 -1.59267
N 1.61166 2.50169 -1.74186
N -1.03824 0.69994 1.12163
C -3.23502 1.69687 1.63869
C 3.52297 0.73076 3.51832
C -1.39291 -1.47022 4.09069
C -4.89621 1.84952 -0.10349
C -1.71738 -0.64583 3.03695
C -4.02527 1.21546 -0.97592
C 3.14370 1.08881 2.08288
C -3.08006 -0.64769 -3.92207
C -2.34785 1.04839 0.77664
C -1.95876 1.63168 -3.76809
C -1.46550 -1.75068 -1.08248
C 2.62754 2.52995 2.01659
C 2.78991 -1.50811 0.65748
C 2.41577 2.54496 -2.57499
C -0.72909 -0.09267 2.18422
C -1.89647 0.15140 -3.37504
C 3.49905 -1.15418 -0.65486
C -0.56361 -2.55718 -2.01742
C -0.06916 -1.80686 4.37176
C -2.76140 0.80752 -0.55639
C -4.49109 2.08600 1.20485
C 0.62410 -0.48437 2.44339
C 0.91012 -1.31582 3.53442
C -2.83504 -2.39608 -0.88032
C 3.76965 -2.18141 1.61679
B 3.51968 2.55271 -3.70338
H 4.32415 1.69679 -3.37702
H -0.98562 -0.25410 -3.82992
H 2.52732 2.88295 0.98962
H 0.18371 -2.44552 5.20635
H -3.45281 -1.81471 -0.19563
H -4.34256 1.03794 -1.99371
H 4.22258 -3.04420 1.12275
H -1.97462 1.72011 -4.85568
H 2.65865 0.80895 4.17973
H 4.01794 3.65748 -3.73012
H -2.85550 2.11497 -3.37890
H -5.15735 2.59377 1.89117
H -0.98331 -1.69089 -0.10099
H -1.09129 2.18549 -3.40534
H 3.31658 3.20090 2.53327
H -3.37985 -2.50625 -1.81741
H 3.29536 -2.53958 2.52870
H 2.95885 2.27069 -4.74446
H -4.01994 -0.40939 -3.42571
H 4.58286 -1.50501 1.88660
H -2.75747 -0.42039 2.84822
H 1.93858 -1.58543 3.73303
H -2.19113 -1.86548 4.70826
H 4.27822 1.43579 3.87279
H -3.20309 -0.42270 -4.98407
H 2.83483 -0.68676 -1.38330
H 3.93465 -0.27284 3.61591
H 3.91678 -2.05491 -1.10873
H 4.32817 -0.46261 -0.48528
H 0.40591 -2.07805 -2.17615
H 4.02916 1.00679 1.44291
H -5.87539 2.16096 -0.44146
H -2.91702 1.91005 2.65140
H 1.65618 2.61569 2.51264
H 1.97028 -2.20168 0.44015
H -1.02668 -2.70008 -2.99606
H -0.37958 -3.54783 -1.59735
H -2.71100 -3.39404 -0.45285
H -2.92271 -1.72117 -3.83395
```



# 4
Here is a 2-piece molecular cluster, C24H24NOS overall in a non-equilibrium geometry from the Open Molecules 2025 dataset. Energies are from ωB97M-V/def2-TZVPD.
____________
It remains to give back the data further above from the first line to the one with "3.73303" without additions.
# 1
Here is one molecule with the formula C3H6N2OS in a non-equilibrium geometry from the Open Molecules 2025 dataset. Energies are from ωB97M-V/def2-TZVPD.

Relative energy (zero: lowest compared OMol25 entry of this formula, charge and spin) in kcal per mole: 67.5
DFT total energy in a.u.: -700.78161
Frontier orbital gap in eV: 9.17
E_HOMO in eV: -8.59
Charge: 0
2S+1: 1

```
13
C3H6N2OS, DFT ωB97M-V/def2-TZVPD
S -2.11560 1.86394 -1.14092
O -0.77305 -0.57153 0.22006
N 1.24659 0.39082 -0.04758
N 0.42601 1.47173 -0.42282
C 1.17809 -1.96480 0.42364
C 0.50919 -0.64592 0.19166
C -0.86156 1.33442 -0.03857
H 1.49786 -2.01419 1.46255
H 0.46892 -2.76526 0.23133
H 2.05056 -2.05967 -0.21545
H -1.08843 1.46159 1.01186
H -3.12210 1.79637 -0.27332
H 0.58353 1.70251 -1.40244
```



# 2
Here is one molecule with the formula C5H8N2 from the Open Molecules 2025 dataset. Energies are from ωB97M-V/def2-TZVPD.

Relative energy (zero: lowest compared OMol25 entry of this formula, charge and spin) in kcal per mole: 58.3
DFT total energy in a.u.: -304.74266
Frontier orbital gap in eV: 8.41
E_HOMO in eV: -7.64
Charge: 0
2S+1: 1

```
15
C5H8N2, DFT ωB97M-V/def2-TZVPD
N 1.13463 0.12475 0.25189
N -0.96296 0.18329 -0.11311
C -0.33015 1.12783 -0.90959
C 1.02167 1.14418 -0.69556
C -0.03073 -0.43711 0.60612
C -2.36514 -0.13358 -0.12392
C 2.47025 -0.38217 0.39869
H 2.42659 -1.41032 0.73422
H 2.99238 0.27096 1.08677
H -0.91116 1.71991 -1.59303
H -2.63799 -0.56951 -1.08315
H -2.96922 0.75750 0.03823
H -2.57694 -0.85217 0.66215
H 2.96809 -0.31306 -0.57658
H -0.22932 -1.23051 1.31689
```



# 3
Here is C25H39BCdN2P2 as an isolated structure from the Open Molecules 2025 dataset. Energies are from ωB97M-V/def2-TZVPD.

DFT total energy in a.u.: -1960.84015
Frontier orbital gap in eV: 7.79
E_HOMO in eV: -7.31
Charge: 0
2S+1: 1

```
70
C25H39BCdN2P2, DFT ωB97M-V/def2-TZVPD
Cd 0.49942 1.19828 -0.46858
P 1.91067 -0.01484 1.27285
P -1.49501 0.01630 -1.59267
N 1.61166 2.50169 -1.74186
N -1.03824 0.69994 1.12163
C -3.23502 1.69687 1.63869
C 3.52297 0.73076 3.51832
C -1.39291 -1.47022 4.09069
C -4.89621 1.84952 -0.10349
C -1.71738 -0.64583 3.03695
C -4.02527 1.21546 -0.97592
C 3.14370 1.08881 2.08288
C -3.08006 -0.64769 -3.92207
C -2.34785 1.04839 0.77664
C -1.95876 1.63168 -3.76809
C -1.46550 -1.75068 -1.08248
C 2.62754 2.52995 2.01659
C 2.78991 -1.50811 0.65748
C 2.41577 2.54496 -2.57499
C -0.72909 -0.09267 2.18422
C -1.89647 0.15140 -3.37504
C 3.49905 -1.15418 -0.65486
C -0.56361 -2.55718 -2.01742
C -0.06916 -1.80686 4.37176
C -2.76140 0.80752 -0.55639
C -4.49109 2.08600 1.20485
C 0.62410 -0.48437 2.44339
C 0.91012 -1.31582 3.53442
C -2.83504 -2.39608 -0.88032
C 3.76965 -2.18141 1.61679
B 3.51968 2.55271 -3.70338
H 4.32415 1.69679 -3.37702
H -0.98562 -0.25410 -3.82992
H 2.52732 2.88295 0.98962
H 0.18371 -2.44552 5.20635
H -3.45281 -1.81471 -0.19563
H -4.34256 1.03794 -1.99371
H 4.22258 -3.04420 1.12275
H -1.97462 1.72011 -4.85568
H 2.65865 0.80895 4.17973
H 4.01794 3.65748 -3.73012
H -2.85550 2.11497 -3.37890
H -5.15735 2.59377 1.89117
H -0.98331 -1.69089 -0.10099
H -1.09129 2.18549 -3.40534
H 3.31658 3.20090 2.53327
H -3.37985 -2.50625 -1.81741
H 3.29536 -2.53958 2.52870
H 2.95885 2.27069 -4.74446
H -4.01994 -0.40939 -3.42571
H 4.58286 -1.50501 1.88660
H -2.75747 -0.42039 2.84822
H 1.93858 -1.58543 3.73303